
Explanation, not concealment

(Inserted here: materials data)
# 1
A relaxed structure of NaSb2H2OF7, computed with GGA-PBE.

Geometry as POSCAR:
```
NaSb2H2OF7
1.0
5.572 0.000 0.000
0.000 9.747 0.000
-1.814 0.000 13.580
H F Sb Na O
8 28 8 4 4
direct
0.029 0.531 0.739 H
0.157 0.919 0.738 H
0.971 0.469 0.261 H
0.843 0.419 0.762 H
0.843 0.081 0.262 H
0.157 0.581 0.238 H
0.971 0.031 0.761 H
0.029 0.969 0.239 H
0.007 0.178 0.869 F
0.478 0.781 0.638 F
0.905 0.144 0.506 F
0.522 0.281 0.862 F
0.440 0.103 0.580 F
0.307 0.795 0.821 F
0.105 0.109 0.062 F
0.584 0.046 0.769 F
0.895 0.609 0.438 F
0.895 0.891 0.938 F
0.440 0.397 0.080 F
0.560 0.603 0.920 F
0.522 0.219 0.362 F
0.693 0.205 0.179 F
0.560 0.897 0.420 F
0.007 0.322 0.369 F
0.905 0.356 0.006 F
0.105 0.391 0.562 F
0.993 0.678 0.631 F
0.307 0.705 0.321 F
0.693 0.295 0.679 F
0.478 0.719 0.138 F
0.095 0.856 0.494 F
0.584 0.454 0.269 F
0.993 0.822 0.131 F
0.095 0.644 0.994 F
0.416 0.546 0.731 F
0.416 0.954 0.231 F
0.388 0.200 0.707 Sb
0.205 0.666 0.527 Sb
0.612 0.700 0.793 Sb
0.795 0.166 0.973 Sb
0.612 0.800 0.293 Sb
0.205 0.834 0.027 Sb
0.795 0.334 0.473 Sb
0.388 0.300 0.207 Sb
0.243 0.441 0.926 Na
0.243 0.059 0.426 Na
0.757 0.941 0.574 Na
0.757 0.559 0.074 Na
0.062 0.502 0.209 O
0.938 0.002 0.291 O
0.938 0.498 0.791 O
0.062 0.998 0.709 O
```

Its volume is 737.6 Å³ per cell. Its energy of formation from the pure elements is -2.419 eV per atom. As for the density: 3.760 Mg/m³. For the uncorrected energy, the calculation gives -62.24 eV/f.u. The space-group type is P2_1/c.


# 2
A relaxed structure of MgZrTiPb2O6, computed with GGA-PBE.

Geometry as POSCAR:
```
MgZrTiPb2O6
1.0
-2.127 5.703 2.117
-0.439 1.736 -5.115
-5.106 -1.836 -0.185
Mg Ti O Pb Zr
1 1 6 2 1
direct
0.688 0.000 0.000 Mg
0.480 0.000 0.500 Ti
0.210 0.000 0.500 O
0.592 0.248 0.258 O
0.592 0.752 0.742 O
0.592 0.248 0.742 O
0.156 0.500 0.000 O
0.592 0.752 0.258 O
0.828 0.500 0.500 Pb
0.141 0.000 0.000 Pb
0.455 0.500 0.000 Zr
```

Its volume is 189.6 Å³ per cell. Its energy of formation from the pure elements is -2.542 eV per atom. As for the density: 5.901 Mg/m³. For the uncorrected energy, the calculation gives -79.00 eV/f.u. The space-group type is Pmm2.


# 3
A relaxed structure of Ce3Sb4Pt7, computed with GGA-PBE.

Geometry as POSCAR:
```
Ce3Sb4Pt7
1.0
0.000 -4.367 0.000
6.491 -2.184 -5.119
6.532 -2.184 5.170
Ce Pt Sb
3 7 4
direct
0.171 0.316 0.342 Ce
0.500 0.000 0.000 Ce
0.829 0.684 0.658 Ce
0.825 0.287 0.062 Pt
0.989 0.316 0.706 Pt
0.625 0.148 0.601 Pt
0.375 0.852 0.399 Pt
0.175 0.713 0.938 Pt
0.500 0.500 0.500 Pt
0.011 0.684 0.294 Pt
0.826 0.035 0.314 Sb
0.635 0.595 0.134 Sb
0.174 0.965 0.686 Sb
0.365 0.405 0.866 Sb
```

Its volume is 292.6 Å³ per cell. Its energy of formation from the pure elements is -0.858 eV per atom. As for the density: 12.900 Mg/m³. For the uncorrected energy, the calculation gives -88.83 eV/f.u. The space-group type is C2/m.


# 4
A relaxed structure of Ba2Zn3F10, computed with GGA-PBE.

Geometry as POSCAR:
```
Ba2Zn3F10
1.0
3.063 9.486 0.000
-3.063 9.486 0.000

The failure to offer a convincing account of the Santiago accident merely fuels speculation

Several days have gone by since the tragic train crash in Santiago de Compostela, and the authorities have yet to offer the necessary explanations. A convincing account of the facts is far preferable to allowing speculation and conjecture to proliferate, in part nourished by the casual comments and vague remarks proceeding from the public companies Renfe and Adif, which are in charge of operating the Spanish railway network.

Public Works Minister Ana Pastor has at last deigned to appear in Congress to offer explanations: it was about time. Explanations are also owed by the regional government of Galicia, which still denies a lack of coordination in the rescue work during the first hours after the tragedy, in spite of all the evidence to the contrary.

The engine driver of the wrecked train has admitted to “distraction” in believing that he was on another section of the line, and braking too late. The opening of the train’s black boxes should throw light on what happened in the driver’s cab. But whatever the criminal and civil responsibilities of the driver — and thus of Renfe as his employer — it is surprising that the approach to a very tight curve is not equipped with an automatic braking system. It seems equally odd that this situation can be compatible with a route that requires a sharp reduction in speed (from 200 to 80 km/h) in a very short space and time. These are some of the doubts that naturally arise in connection with this and other points in the rail network.

Quite apart from the tragedy itself and the suffering caused by the loss of so many lives, the high-speed rail system has been functioning very well in Spain. But we may well ask whether politically motivated haste is an undesirable influence. Excessive haste may have been a factor in starting building a rail line such as the Ourense-A Coruña route, which has been showcased as a high-speed line, even though part of it has not been built, and apparently not equipped, as such. There has to be clearer demarcation of the performance qualities demanded of a line that, while not strictly conforming to the design standards of a high-speed train line, has been operating as if it were one.

== The article is interrupted by calculated crystals ==
'''
Density functional theory data (r²SCAN) for an optimized crystal structure of Ba3Hf2O7.

Summary:
- M_tot: 0.0 μB per formula unit
- Formation enthalpy at 0 K: -3540 meV/atom
- Energy: -21.17 eV per atom

Geometry as CIF:
```
data_Ba3Hf2O7
_chemical_formula_sum 'Ba6 Hf4 O14'
_space_group_name_H-M_alt 'I 4/m m m'
_space_group_IT_number 139
_space_group_name_Hall '-I 4 2'
_cell_length_a 4.1660
_cell_length_b 4.1660
_cell_length_c 21.8838
_cell_angle_alpha 90.00
_cell_angle_beta 90.00
_cell_angle_gamma 90.00
loop_
_atom_site_label
_atom_site_type_symbol
_atom_site_fract_x
_atom_site_fract_y
_atom_site_fract_z
_atom_site_occupancy
Ba1 Ba 0.0000 0.0000 0.0000 1
Ba2 Ba 0.0000 0.0000 0.1859 1
Hf1 Hf 0.0000 0.0000 0.4036 1
O1 O 0.0000 0.0000 0.3089 1
O2 O 0.0000 0.0000 0.5000 1
O3 O 0.0000 0.5000 0.0956 1
```

=====

Record 1
Below is Al2Si2O9 after structural relaxation, with properties calculated at the PBE level.

E_tot   -6.876 eV per atom
Calculated formation energy   -2.5150 eV per atom
ΔE to the lowest computed polymorph   0.022 eV/f.u.

```
Al2Si2O9
1.0
4.538 2.609 0.000
-4.538 2.609 0.000
0.000 1.751 14.851
O Si Al
18 4 4
Cartesian
-0.722 5.426 12.629
2.490 2.337 4.808
0.084 0.945 7.280
2.027 3.862 10.473
-0.084 1.820 14.706
-0.789 4.244 10.457
-0.260 3.550 7.455
0.260 2.674 0.029
-2.490 3.213 12.233
-3.538 3.826 10.555
0.722 4.551 5.203
3.538 2.950 3.130
2.177 4.560 7.449
1.004 3.187 12.627
-2.177 3.684 0.024
-1.004 2.312 5.202
0.789 3.369 3.032
-2.027 2.987 3.047
0.871 3.054 14.279
-0.680 5.600 14.279
-0.871 2.179 6.854
0.680 4.725 6.854
-0.699 3.833 4.083
-2.187 4.940 11.508
0.699 4.709 11.509
2.187 4.065 4.083
```

Record 2
Below is Al8Si3O18 after structural relaxation, with properties calculated at the PBE level.

E_tot   -7.398 eV per atom
Calculated formation energy   -3.1588 eV per atom

```
Al8Si3O18
1.0
-0.956 1.933 -1.980
1.067 -5.597 -5.979
-12.225 -6.124 -0.075
Al O Si
8 18 3
Cartesian
-2.868 -5.086 -5.744
-7.650 -4.449 -2.813
0.192 -5.889 -5.842
-4.975 -2.583 -2.283
'''

The huge investment input involved has included the installation of the most advanced electronic ERTMS safety system along 1,786 kilometers of track throughout Spain — a record. Nevertheless, it is only available on just over half of the high-speed rail network. This does not mean that the rest is unsafe, but only that it must be operated with more precautions. An explanation to clear up the doubts that such a disaster arouses in people’s minds is a necessary gesture of credibility — just as necessary as a realistic vision of what a high-speed rail system is, and what it is not.

What is in doubt is not the technical competence of the Spanish companies in the high-speed rail sector, but our country’s capacity to make the investment that will fully complete what these companies have made technologically possible. And this question must not be concealed, but explained. What is absurd, and irresponsible, is to hide behind the suggestion that explanations belong to the realm of higher engineering, unsuitable for the digestion of the general public.